Count the lines underneath that contain the word "crystal" and give the number alone.

........
This entry pairs a crystal structure of La3DyTl3 with its computed XRD peak list. Radiation: Cu Kα (weighted mean of Kα1 and Kα2). Structure: DFT lattice parameters and positions (PBE).
Neutral-atom scattering factors, no anomalous dispersion.

Main lines, in order of rising 2θ (2θ from 5° to 70°):
- 18.0 deg, rel. 121
- 28.0 deg, rel. 333
- 28.2 deg, rel. 251
- 31.7 deg, rel. 1000
- 32.4 deg, rel. 484
- 32.6 deg, rel. 448
- 34.1 deg, rel. 120
- 36.5 deg, rel. 227
- 38.5 deg, rel. 222
- 42.3 deg, rel. 135

Structure:
```
14
Lattice="4.273 -5.530 0.000 4.273 5.530 0.000 -0.367 0.000 9.842" Properties=species:S:1:pos:R:3 pbc="T T T"
La 4.273 3.558 0.000
La 4.090 2.828 4.921
La 3.400 0.000 1.790
La 4.780 0.000 8.052
La 4.090 -2.828 4.921
La 4.273 -3.558 0.000
Dy 2.149 0.000 5.378
Dy 6.031 0.000 4.465
Tl 0.178 0.000 2.697
Tl 1.999 2.297 7.527
Tl 1.999 -2.297 7.527
Tl 6.181 2.297 2.315
Tl 6.181 -2.297 2.315
Tl 8.002 0.000 7.145
```

This entry pairs a crystal structure of Mg2InHg with its computed XRD peak list. Radiation: Cu Kα (weighted mean of Kα1 and Kα2). Structure: DFT lattice parameters and positions (PBE).
Neutral-atom scattering factors, no anomalous dispersion.

Main lines, in order of rising 2θ (2θ from 5° to 70°):
- 17.1 deg, rel. 256
- 22.5 deg, rel. 750
- 25.8 deg, rel. 538
- 27.0 deg, rel. 482
- 34.5 deg, rel. 1000
- 35.4 deg, rel. 931
- 37.6 deg, rel. 397
- 37.9 deg, rel. 386
- 44.2 deg, rel. 263
- 44.5 deg, rel. 257

Structure:
```
4
Lattice="3.447 -3.958 0.000 3.447 3.958 0.000 -0.032 0.000 3.298" Properties=species:S:1:pos:R:3 pbc="T T T"
Mg 1.724 1.979 0.000
Mg 1.724 -1.979 0.000
In -0.016 0.000 1.649
Hg 3.431 0.000 1.649
```

This entry pairs a crystal structure of Ca7Ag2Pt2 with its computed XRD peak list. Radiation: Cu Kα (weighted mean of Kα1 and Kα2). Structure: DFT lattice parameters and positions (PBE).
Neutral-atom scattering factors, no anomalous dispersion.

Main lines, in order of rising 2θ (2θ from 5° to 70°):
- 12.4 deg, rel. 182
- 18.1 deg, rel. 166
- 20.4 deg, rel. 876
- 24.3 deg, rel. 687
- 26.5 deg, rel. 190
- 32.7 deg, rel. 449
- 36.7 deg, rel. 1000
- 41.2 deg, rel. 208
- 41.3 deg, rel. 168
- 42.2 deg, rel. 231

Structure:
```
11
Lattice="4.263 -5.477 0.000 4.263 5.477 0.000 0.000 0.000 7.153" Properties=species:S:1:pos:R:3 pbc="T T T"
Ca 0.000 0.000 0.000
Ca 2.131 2.739 1.842
Ca 2.131 2.739 5.312
Ca 2.131 -2.739 1.842
Ca 2.131 -2.739 5.312
Ca 4.263 0.000 1.757
Ca 4.263 0.000 5.397
Ag 1.490 0.000 3.577
Ag 7.036 0.000 3.577
Pt 4.263 2.378 0.000
Pt 4.263 -2.378 0.000
```

This entry pairs a crystal structure of Pm3SmAs4 with its computed XRD peak list. Radiation: Cu Kα (weighted mean of Kα1 and Kα2). Structure: DFT lattice parameters and positions (PBE).
Neutral-atom scattering factors, no anomalous dispersion.

Main lines, in order of rising 2θ (2θ from 5° to 70°):
- 25.8 deg, rel. 185
- 29.9 deg, rel. 1000
- 42.7 deg, rel. 750
- 50.6 deg, rel. 91
- 53.0 deg, rel. 265
- 62.0 deg, rel. 123
- 68.3 deg, rel. 37

Structure:
```
8
Lattice="5.983 0.000 0.000 0.000 5.983 0.000 0.000 0.000 5.983" Properties=species:S:1:pos:R:3 pbc="T T T"
Pm 0.000 0.000 2.992
Pm 0.000 2.992 0.000
Pm 2.992 0.000 0.000
Sm 2.992 2.992 2.992
As 0.000 0.000 0.000
As 0.000 2.992 2.992
As 2.992 0.000 2.992
As 2.992 2.992 0.000
```

This entry pairs a crystal structure of Pm9Sm4Pu with its computed XRD peak list. Radiation: Cu Kα (weighted mean of Kα1 and Kα2). Structure: DFT lattice parameters and positions (PBE).
Neutral-atom scattering factors, no anomalous dispersion.

Main lines, in order of rising 2θ (2θ from 5° to 70°):
- 22.1 deg, rel. 100
- 31.7 deg, rel. 240
- 31.8 deg, rel. 1000
- 32.2 deg, rel. 290
- 36.2 deg, rel. 109
- 45.1 deg, rel. 91
- 51.7 deg, rel. 186
- 55.6 deg, rel. 137
- 55.9 deg, rel. 152
- 65.5 deg, rel. 185

Structure:
```
28
Lattice="9.924 0.000 0.000 -4.962 8.595 0.000 0.000 0.000 11.238" Properties=species:S:1:pos:R:3 pbc="T T T"
Pm -1.939 4.611 2.809
Pm 0.000 3.598 6.023
Pm 0.000 3.598 10.834
........

5